Listing.
********
Record 1
Compound: Mn3Cu2NiP6O24
Source: the Materials Project
Functional: GGA+U
Structure: relaxed

a = 8.510 Å, b = 8.510 Å, c = 8.510 Å
α = 60.15°, β = 60.15°, γ = 60.15°
Fractional positions:
O1 0.805 0.621 0.008
O2 0.083 0.742 0.945
O3 0.876 0.689 0.497
O4 0.621 0.008 0.805
O5 0.387 0.984 0.193
O6 0.562 0.760 0.418
O7 0.742 0.945 0.083
O8 0.263 0.054 0.910
O9 0.122 0.304 0.511
O10 0.193 0.387 0.984
O11 0.008 0.805 0.621
O12 0.910 0.263 0.054
O13 0.235 0.579 0.450
O14 0.689 0.497 0.876
O15 0.054 0.910 0.263
O16 0.579 0.450 0.235
O17 0.760 0.418 0.562
O18 0.304 0.511 0.122
O19 0.497 0.876 0.689
O20 0.511 0.122 0.304
O21 0.984 0.193 0.387
O22 0.418 0.562 0.760
O23 0.450 0.235 0.579
O24 0.945 0.083 0.742
Ni1 0.142 0.142 0.142
Mn1 0.358 0.358 0.358
Mn2 0.642 0.642 0.642
Mn3 0.858 0.858 0.858
Cu1 0.501 0.501 0.501
Cu2 0.002 0.002 0.002
P1 0.459 0.038 0.749
P2 0.038 0.749 0.459
P3 0.749 0.459 0.038
P4 0.249 0.541 0.960
P5 0.541 0.960 0.249
P6 0.960 0.249 0.541

- DFT total energy: -245.18 eV/cell
- ΔH_f (0 K): -2.13 eV per atom
- Total magnetization: 13.00 μB per formula unit

***

Record 2
Compound: Mn4CuO8
Source: the Materials Project
Functional: GGA+U
Structure: relaxed

a = 6.011 Å, b = 6.011 Å, c = 6.016 Å
α = 60.96°, β = 60.96°, γ = 57.87°
Fractional positions:
O1 0.280 0.778 0.198
O2 0.258 0.258 0.779
O3 0.720 0.222 0.802
O4 0.222 0.720 0.802
O5 0.742 0.742 0.221
O6 0.778 0.280 0.198
O7 0.737 0.737 0.802
O8 0.263 0.263 0.198
Mn1 0.500 0.500 0.500
Mn2 0.000 0.000 0.000
Mn3 0.500 0.000 0.000
Mn4 0.000 0.500 0.000
Cu1 0.500 0.500 0.000

- DFT total energy: -89.79 eV/cell
- ΔH_f (0 K): -1.66 eV per atom
- Total magnetization: 15.00 μB per formula unit

***

Record 3
Compound: MnCuO3
Source: the Materials Project
Functional: GGA+U
Structure: relaxed

a = 5.033 Å, b = 5.033 Å, c = 5.425 Å
α = 117.64°, β = 62.36°, γ = 120.00°
Fractional positions:
Cu1 0.357 0.643 0.929
Cu2 0.643 0.357 0.071
Mn1 0.155 0.845 0.534
Mn2 0.845 0.155 0.466
O1 0.232 0.052 0.262
O2 0.768 0.948 0.738
O3 0.558 0.768 0.262
O4 0.442 0.232 0.738
O5 0.948 0.442 0.262
O6 0.052 0.558 0.738

- DFT total energy: -63.02 eV/cell
- ΔH_f (0 K): -1.43 eV per atom
- Total magnetization: 2.00 μB per formula unit

***

Record 4
Compound: MnCuO2
Source: the Materials Project
Functional: GGA+U
Structure: relaxed

a = 3.205 Å, b = 5.258 Å, c = 6.084 Å
α = 108.63°, β = 95.23°, γ = 84.90°
Fractional positions:
O1 0.015 0.615 0.819
O2 0.485 0.885 0.181
O3 0.985 0.385 0.181
O4 0.515 0.115 0.819
Mn1 0.500 0.500 0.000
Mn2 0.000 0.000 0.000
Cu1 0.000 0.500 0.500
Cu2 0.500 0.000 0.500

- DFT total energy: -52.55 eV/cell
- ΔH_f (0 K): -1.54 eV per atom

***

Record 5
Compound: MnCu6O8
Source: the Materials Project
Functional: GGA+U
Structure: relaxed

a = 6.476 Å, b = 6.476 Å, c = 6.476 Å
α = 60.00°, β = 60.00°, γ = 60.00°
Fractional positions:
Mn1 0.000 0.000 0.000
O1 0.859 0.859 0.859
O2 0.577 0.141 0.141
O3 0.859 0.423 0.859
O4 0.423 0.859 0.859
O5 0.859 0.859 0.423
O6 0.141 0.141 0.141
O7 0.141 0.577 0.141
O8 0.141 0.141 0.577
Cu1 0.500 0.500 0.000
Cu2 0.000 0.500 0.500
Cu3 0.000 0.500 0.000
Cu4 0.000 0.000 0.500
Cu5 0.500 0.000 0.000
Cu6 0.500 0.000 0.500

- DFT total energy: -82.96 eV/cell
- ΔH_f (0 K): -1.12 eV per atom

***

Record 6
Compound: Mn9Cu6O20
Source: the Materials Project
Functional: GGA+U
Structure: relaxed

a = 6.032 Å, b = 6.032 Å, c = 24.858 Å
α = 81.75°, β = 81.75°, γ = 59.59°
Fractional positions:
O1 0.164 0.164 0.482
O2 0.268 0.812 0.677
O3 0.061 0.061 0.281
O4 0.366 0.366 0.881
O5 0.486 0.486 0.570
O6 0.784 0.240 0.171
O7 0.766 0.766 0.683
O8 0.435 0.987 0.573
O9 0.987 0.435 0.573
O10 0.187 0.187 0.971
O11 0.040 0.582 0.773
O12 0.186 0.636 0.972
O13 0.390 0.390 0.369
O14 0.605 0.059 0.280
O15 0.867 0.410 0.877
O16 0.668 0.208 0.479
O17 0.666 0.666 0.482
O18 0.877 0.877 0.372
O19 0.572 0.572 0.280
O20 0.285 0.285 0.169
O21 0.393 0.841 0.370
O22 0.266 0.266 0.678
O23 0.465 0.465 0.079
O24 0.410 0.867 0.877
O25 0.812 0.268 0.677
O26 0.684 0.684 0.968
********
Job.
The reader should print all of the contents earlier on without altering anything.
Done.
Record 1
Compound: Mn3Cu2NiP6O24
Source: the Materials Project
Functional: GGA+U
Structure: relaxed

a = 8.510 Å, b = 8.510 Å, c = 8.510 Å
α = 60.15°, β = 60.15°, γ = 60.15°
Fractional positions:
O1 0.805 0.621 0.008
O2 0.083 0.742 0.945
O3 0.876 0.689 0.497
O4 0.621 0.008 0.805
O5 0.387 0.984 0.193
O6 0.562 0.760 0.418
O7 0.742 0.945 0.083
O8 0.263 0.054 0.910
O9 0.122 0.304 0.511
O10 0.193 0.387 0.984
O11 0.008 0.805 0.621
O12 0.910 0.263 0.054
O13 0.235 0.579 0.450
O14 0.689 0.497 0.876
O15 0.054 0.910 0.263
O16 0.579 0.450 0.235
O17 0.760 0.418 0.562
O18 0.304 0.511 0.122
O19 0.497 0.876 0.689
O20 0.511 0.122 0.304
O21 0.984 0.193 0.387
O22 0.418 0.562 0.760
O23 0.450 0.235 0.579
O24 0.945 0.083 0.742
Ni1 0.142 0.142 0.142
Mn1 0.358 0.358 0.358
Mn2 0.642 0.642 0.642
Mn3 0.858 0.858 0.858
Cu1 0.501 0.501 0.501
Cu2 0.002 0.002 0.002
P1 0.459 0.038 0.749
P2 0.038 0.749 0.459
P3 0.749 0.459 0.038
P4 0.249 0.541 0.960
P5 0.541 0.960 0.249
P6 0.960 0.249 0.541

- DFT total energy: -245.18 eV/cell
- ΔH_f (0 K): -2.13 eV per atom
- Total magnetization: 13.00 μB per formula unit

***

Record 2
Compound: Mn4CuO8
Source: the Materials Project
Functional: GGA+U
Structure: relaxed

a = 6.011 Å, b = 6.011 Å, c = 6.016 Å
α = 60.96°, β = 60.96°, γ = 57.87°
Fractional positions:
O1 0.280 0.778 0.198
O2 0.258 0.258 0.779
O3 0.720 0.222 0.802
O4 0.222 0.720 0.802
O5 0.742 0.742 0.221
O6 0.778 0.280 0.198
O7 0.737 0.737 0.802
O8 0.263 0.263 0.198
Mn1 0.500 0.500 0.500
Mn2 0.000 0.000 0.000
Mn3 0.500 0.000 0.000
Mn4 0.000 0.500 0.000
Cu1 0.500 0.500 0.000

- DFT total energy: -89.79 eV/cell
- ΔH_f (0 K): -1.66 eV per atom
- Total magnetization: 15.00 μB per formula unit

***

Record 3
Compound: MnCuO3
Source: the Materials Project
Functional: GGA+U
Structure: relaxed

a = 5.033 Å, b = 5.033 Å, c = 5.425 Å
α = 117.64°, β = 62.36°, γ = 120.00°
Fractional positions:
Cu1 0.357 0.643 0.929
Cu2 0.643 0.357 0.071
Mn1 0.155 0.845 0.534
Mn2 0.845 0.155 0.466
O1 0.232 0.052 0.262
O2 0.768 0.948 0.738
O3 0.558 0.768 0.262
O4 0.442 0.232 0.738
O5 0.948 0.442 0.262
O6 0.052 0.558 0.738

- DFT total energy: -63.02 eV/cell
- ΔH_f (0 K): -1.43 eV per atom
- Total magnetization: 2.00 μB per formula unit

***

Record 4
Compound: MnCuO2
Source: the Materials Project
Functional: GGA+U
Structure: relaxed

a = 3.205 Å, b = 5.258 Å, c = 6.084 Å
α = 108.63°, β = 95.23°, γ = 84.90°
Fractional positions:
O1 0.015 0.615 0.819
O2 0.485 0.885 0.181
O3 0.985 0.385 0.181
O4 0.515 0.115 0.819
Mn1 0.500 0.500 0.000
Mn2 0.000 0.000 0.000
Cu1 0.000 0.500 0.500
Cu2 0.500 0.000 0.500

- DFT total energy: -52.55 eV/cell
- ΔH_f (0 K): -1.54 eV per atom

***

Record 5
Compound: MnCu6O8
Source: the Materials Project
Functional: GGA+U
Structure: relaxed

a = 6.476 Å, b = 6.476 Å, c = 6.476 Å
α = 60.00°, β = 60.00°, γ = 60.00°
Fractional positions:
Mn1 0.000 0.000 0.000
O1 0.859 0.859 0.859
O2 0.577 0.141 0.141
O3 0.859 0.423 0.859
O4 0.423 0.859 0.859
O5 0.859 0.859 0.423
O6 0.141 0.141 0.141
O7 0.141 0.577 0.141
O8 0.141 0.141 0.577
Cu1 0.500 0.500 0.000
Cu2 0.000 0.500 0.500
Cu3 0.000 0.500 0.000
Cu4 0.000 0.000 0.500
Cu5 0.500 0.000 0.000
Cu6 0.500 0.000 0.500

- DFT total energy: -82.96 eV/cell
- ΔH_f (0 K): -1.12 eV per atom

***

Record 6
Compound: Mn9Cu6O20
Source: the Materials Project
Functional: GGA+U
Structure: relaxed

a = 6.032 Å, b = 6.032 Å, c = 24.858 Å
α = 81.75°, β = 81.75°, γ = 59.59°
Fractional positions:
O1 0.164 0.164 0.482
O2 0.268 0.812 0.677
O3 0.061 0.061 0.281
O4 0.366 0.366 0.881
O5 0.486 0.486 0.570
O6 0.784 0.240 0.171
O7 0.766 0.766 0.683
O8 0.435 0.987 0.573
O9 0.987 0.435 0.573
O10 0.187 0.187 0.971
O11 0.040 0.582 0.773
O12 0.186 0.636 0.972
O13 0.390 0.390 0.369
O14 0.605 0.059 0.280
O15 0.867 0.410 0.877
O16 0.668 0.208 0.479
O17 0.666 0.666 0.482
O18 0.877 0.877 0.372
O19 0.572 0.572 0.280
O20 0.285 0.285 0.169
O21 0.393 0.841 0.370
O22 0.266 0.266 0.678
O23 0.465 0.465 0.079
O24 0.410 0.867 0.877
O25 0.812 0.268 0.677
O26 0.684 0.684 0.968